Memo to Members

HUD PIH Issues Notice Providing Public Housing Operating Fund Shortfall Funding

May 03, 2021

HUD’s Office of Public and Indian Housing (PIH) issued Notice PIH-2021-12, making a $25 million public housing Operating Fund set-aside available to public housing agencies (PHAs) experiencing a financial shortfall or at risk of a shortfall. The “2021 Appropriations Act” set aside the $25 million and the Joint Explanatory Statement accompanying the act directs that highest priority be given to PHAs with 249 or fewer public housing units and that have less than one month of reserves.

# Here the page breaks off for records of crystals
<<<
(1)
Density functional theory data (PBE) for a geometry-optimized LiCa2Cu6Ni structure.

Properties
For the size of the total moment, the calculation gives 0.000 μB/f.u. The calculation puts the density of states at the Fermi level at 3.03 states/eV per cell. The calculated formation energy is -23.4 meV per atom.

a = 6.427 Å, b = 6.427 Å, c = 8.417 Å
α = 129.82°, β = 129.82°, γ = 44.64°
Fractional positions:
1 Li 0.000 0.000 0.000
2 Ca 0.462 0.462 0.227
3 Ca 0.538 0.538 0.773
4 Cu 0.005 0.505 0.266
5 Cu 0.172 0.172 0.423
6 Cu 0.495 0.995 0.734
7 Cu 0.505 0.005 0.266
8 Cu 0.828 0.828 0.577
9 Cu 0.995 0.495 0.734
10 Ni 0.000 0.000 0.500

***

(2)
Density functional theory data (PBE) for a geometry-optimized LiCaCuO2 structure.

Properties
For the size of the total moment, the calculation gives 0.000 μB/f.u. The calculation puts the density of states at the Fermi level at 0.00 states/eV per cell.

a = 6.056 Å, b = 6.056 Å, c = 4.237 Å
α = 90.00°, β = 90.00°, γ = 130.36°
Fractional positions:
1 Li 0.250 0.250 0.000
2 Li 0.750 0.750 0.000
3 Ca 0.250 0.750 0.762
4 Ca 0.750 0.250 0.238
5 Cu 0.000 0.000 0.500
6 Cu 0.500 0.500 0.500
7 O 0.125 0.875 0.210
8 O 0.375 0.625 0.210
9 O 0.625 0.375 0.790
10 O 0.875 0.125 0.790

***

(3)
Density functional theory data (PBE) for a geometry-optimized LiCa2Cu3P4 structure.

Properties
For the size of the total moment, the calculation gives 0.000 μB/f.u. The calculation puts the density of states at the Fermi level at 4.50 states/eV per cell. The calculated formation energy is -608.0 meV per atom.

a = 4.036 Å, b = 4.036 Å, c = 9.969 Å
α = 90.00°, β = 90.00°, γ = 90.00°
Fractional positions:
1 Li 0.000 0.000 0.000
2 Ca 0.000 0.500 0.755
3 Ca 0.500 0.000 0.245
4 Cu 0.000 0.500 0.371
5 Cu 0.500 0.000 0.629
6 Cu 0.500 0.500 0.000
7 P 0.000 0.000 0.500
8 P 0.000 0.500 0.139
9 P 0.500 0.000 0.861
10 P 0.500 0.500 0.500

***

(4)
Density functional theory data (PBE) for a geometry-optimized Li2CaCu2P2 structure.

Properties
For the size of the total moment, the calculation gives 0.000 μB/f.u. The calculation puts the density of states at the Fermi level at 1.04 states/eV per cell. The calculated formation energy is -705.0 meV per atom.

a = 8.118 Å, b = 8.118 Å, c = 8.118 Å
α = 28.70°, β = 28.70°, γ = 28.70°
Fractional positions:
1 Li 0.139 0.139 0.139
2 Li 0.861 0.861 0.861
3 Ca 0.000 0.000 0.000
4 Cu 0.424 0.424 0.424
5 Cu 0.576 0.576 0.576
6 P 0.249 0.249 0.249
7 P 0.751 0.751 0.751

***

Record-wise VASP energy values, in eV per atom: -3.6509, -5.2345, -4.5925, -4.2538


# 1
A relaxed structure of La2HfP4. Source: Alexandria via LeMat-Bulk, functional PBE.

a = 4.9355 Å, b = 4.9355 Å, c = 14.5899 Å
α = 90.00°, β = 90.00°, γ = 90.00°
Last column: nearest neighbours and their distance in Å.
Fractional coordinates of all 14 atoms:
La 0.0000 0.0000 0.1289  5 P 2.84-3.10
La 0.0000 0.0000 0.8711  5 P 2.84-3.10
La 0.5000 0.5000 0.3711  5 P 2.84-3.10
La 0.5000 0.5000 0.6289  5 P 2.84-3.10
>>>

For the purposes of Notice PIH-2021-12, PIH defines a financial shortfall as a PHA having less than two months of operating expenses held in reserve. Eligibility for the Shortfall Funding Program will be based on the amount of a PHA’s Monthly Operating Reserves (MOR). The amount of funding that a PHA is eligible to receive under the set-aside is equal to the difference between a PHA’s MOR for the PHA fiscal year end and the amount that is equal to two months of MOR for that PHA.

The notice links to a list of PHAs eligible for shortfall assistance and the amount each is eligible to receive. Following the congressional Joint Explanatory Statement regarding priority in providing shortfall funding, PIH established six groups of PHAs based on their number of public housing units:

  1. PHAs with fewer than 100 units
  2. PHAs with at least 100 and not more than 249 units
  3. PHAs with at least 250 and not more than 499 units
  4. PHAs with at least 500 and not more than 1,249 units
  5. PHAs with at least 1,250 and not more than 6,599 units
  6. PHAs with at least 6,600 units

PHAs that received shortfall funding in FY20 are eligible to receive shortfall funding in FY21. The Notice describes circumstances enabling some PHAs that converted under the Rental Assistance Demonstration (RAD) to be eligible for shortfall funding.

<<<
# PBE+U TlNiMoF6, relaxed
data_TlNiMoF6
_chemical_formula_sum 'Tl2 Ni2 Mo2 F12'
_cell_length_a 5.5694
_cell_length_b 5.5694
_cell_length_c 11.9474
_cell_angle_alpha 90.00
_cell_angle_beta 90.00
_cell_angle_gamma 120.00
_space_group_name_H-M_alt 'P -3 1 c'
_space_group_IT_number 163
_space_group_name_Hall '-P 3 2c'
loop_
_atom_site_label
_atom_site_type_symbol
_atom_site_fract_x
_atom_site_fract_y
_atom_site_fract_z
Tl1 Tl 0.0000 0.0000 0.0000
Ni1 Ni 0.3333 0.6667 0.2500
Mo1 Mo 0.3333 0.6667 0.7500
F1 F 0.0087 0.3737 0.1579
# total energy: -4.873 eV/atom


1.
The following is a PBE-GGA calculation of an optimized crystal structure of RbMg2, from Alexandria.

Computed properties:
crystal system: monoclinic
formation enthalpy at 0 K: 0.28 eV per atom

a b c (Å): 10.206 5.900 3.690
angles (deg): 90.00 90.05 90.00
Space group C2/m (No. 12)
Asymmetric unit:
Rb 0.000 0.000 0.000
Mg 0.166 0.500 0.500

2.
The following is a PBE-GGA calculation of an optimized crystal structure of RbMg2, from Alexandria.

Computed properties:
crystal system: tetragonal
formation enthalpy at 0 K: 0.20 eV per atom

a b c (Å): 5.975 5.975 13.746
angles (deg): 90.00 90.00 90.00
Space group I4/mcm (No. 140)
Asymmetric unit:
Rb 0.000 0.000 0.250
Mg 0.178 0.322 0.000

Looking at raw total energy for the records above, in order, we have -6.610; -14.243 eV/cell.
>>>

All PHAs that receive shortfall funding will receive an award letter that identifies actions not specific to the PHA that the PHA can take to improve their financial performance. These actions are operational improvements that PIH has historically recommended to insolvent PHAs. PIH encourages PHAs to consider the impact on residents and supportive service programs when determining next steps. The list of actions are:

  • Reduce costs/increase revenue
  • Increase program rent revenue by improving occupancy and evaluating rent collection policies and actions
  • Consider selling property/assets in accordance with HUD’s disposition regulations
  • Convert properties through a RAD conversion and possibly with Low-Income Housing Tax Credits.
  • Reposition capital assets that are beyond their useful life
  • Seek additional financing (e.g., debt, equity, cash flow) through your municipality, finance authority, and housing trust fund
  • Renegotiate contracts with workforce and/or vendors
  • Restructure the agency’s organization and staff
  • Evaluate utility consumption and energy policies and consider implementation of energy conservation measures and agreements to reduce energy costs

PHAs that receive shortfall funding are required to collaborate with their HUD Field Office to identify specific issues at the PHA and develop a plan identifying actions that the PHA can take to improve their financial performance. The Field Office will document these efforts by creating an improvement plan. Shortfall funding will be recaptured from PHAs that do not sufficiently collaborate with their Field Office to develop an improvement plan.

### Next to the text, the page also holds crystal structures
┌──
A plane-wave DFT calculation with GGA+U was carried out for a relaxed FeMo2O8 crystal.

The space group is C2/m (No. 12) and the conventional cell measures 13.376, 5.119 and 5.200 Å, with angles of 90.00, 95.86 and 90.00 degrees. Symmetry generates all atoms from Fe at (0.000, 0.000, 0.000), Mo at (0.150, 0.000, 0.433), O at (0.079, 0.243, 0.220), O at (0.111, 0.000, 0.751) and O at (0.218, 0.500, 0.578).

Its calculated total energy is -146.18 eV per cell. The theoretical density comes out at 3.5 g/cm³. Its volume is 354 Å³ per cell.

----------

Compound: MgPaRhAu
Source: the Alexandria database
Functional: PBE
Structure: optimized geometry

Output
Energy of formation ... -0.488 eV/atom

a b c (Å): 4.8349 4.8349 4.8349
angles (deg): 60.00 60.00 60.00
Fractional coordinates of all 4 atoms:
Mg 0.0000 0.0000 0.0000
Pa 0.5000 0.5000 0.5000
Rh 0.7500 0.7500 0.7500
Au 0.2500 0.2500 0.2500

----------

Below is an optimized crystal structure of ZrPd2O, with properties calculated at the GGA-PBE level.

Cell lengths 7.968, 7.968, 6.010 Å; angles 48.47, 48.47, 90.00 degrees
Atoms (fractional coordinates):
Zr  0.750  0.250  0.500
Pd  0.375  0.476  0.750
Zr  0.000  0.000  0.000
Pd  0.226  0.625  0.250
O  0.250  0.750  0.500
Pd  0.524  0.125  0.250
O  0.500  0.500  0.000
Pd  0.875  0.774  0.750

Output
E_tot = -53.6 eV per cell
formation energy without anion corrections = -0.72 eV/atom
crystal system = tetragonal
space-group type = I-42d, No. 122

----------

[1]
Entry from the Alexandria database: a geometry-optimized CeNd5Y8 structure (PBE).

## Properties
The calculation puts the formation energy at 0.251 eV/atom. Its space group is No. 82.

abc: 8.539 8.539 8.539
angles: 111.38 111.38 105.72
Fractional positions:
Ce  0.000  0.000  0.000
Nd  0.040  0.437  0.823
Nd  0.250  0.750  0.500
Nd  0.563  0.387  0.604
Nd  0.613  0.217  0.177
Nd  0.783  0.960  0.396
Y  0.085  0.323  0.401
Y  0.277  0.172  0.751
Y  0.316  0.915  0.238
Y  0.421  0.526  0.249
Y  0.474  0.723  0.895
Y  0.677  0.079  0.762
Y  0.828  0.579  0.105
Y  0.921  0.684  0.599


[2]
Entry from the Alexandria database: a geometry-optimized CeNd4Y structure (PBE).

## Properties
The calculation puts the formation energy at 0.061 eV/atom. Its space group is No. 12.

abc: 6.302 10.927 6.295
angles: 90.00 109.35 90.00
Fractional positions:
Ce  0.000  0.000  0.000
Ce  0.500  0.500  0.000
Nd  0.000  0.164  0.500
Nd  0.000  0.334  0.000
Nd  0.000  0.666  0.000
Nd  0.000  0.836  0.500
Nd  0.500  0.166  0.000
Nd  0.500  0.336  0.500
Nd  0.500  0.664  0.500
Nd  0.500  0.834  0.000
Y  0.000  0.500  0.500
Y  0.500  0.000  0.500


[3]
Entry from the Alexandria database: a geometry-optimized CeNdY4 structure (PBE).

## Properties
The calculation puts the formation energy at 0.028 eV/atom. Its space group is No. 12.

abc: 17.388 3.607 6.274
angles: 90.00 96.93 90.00
Fractional positions:
Ce  0.000  0.000  0.000
Ce  0.500  0.500  0.000
Nd  0.000  0.500  0.500
Nd  0.500  0.000  0.500
Y  0.166  0.500  0.890
└──

Notice PIH-2021-12 is at:

The list of eligible PHAs is at:

The PIH Shortfall Funding website is at:

More information about public housing is on page 4-30 of NLIHC’s 2021 Advocates’ Guide.